Mandatory folic acid fortification: Big questions remain unanswered

By Joe Lederman
FoodLegal Lawyers and Consultants
© Lawmedia Pty Ltd, June/July 2009

As of 13 September 2009, bread-making flour in Australia will be fortified with folic acid as mandated by the Federal Government agency, Food Standards Australia New Zealand (FSANZ). However, developments in overseas jurisdictions and new scientific evidence are raising more questions that our government agencies have yet to answer satisfactorily.

The mandatory fortification of bread-making flour with folic acid became law in Australia once the amendment to Standard 2.1.1 of the Australia New Zealand Food Standards Code (‘the Food Standards Code’) as stated in FSANZ Proposal P295 was gazetted in 2007. However, there was a 2-year period to implement the new Standard and that date is fast approaching.

This strategy of mandatory fortification has been a regulatory attempt to reduce the incidence of neural tube birth defects; therefore the target demographic of the increased folic acid intake is peri-conceptional women. But what about the effect on the whole population, including children, men and the elderly, who will also be consuming increased folic acid?

In January 2009, this writer delivered a paper at the Deakin University International Food Law and Policy Symposium. This paper sparked a public debate with FSANZ Chief Scientist Dr Paul Brent in The Australian newspaper which which was reported in the February 2009 issue of FoodLegal Bulletin (see our article “Folic acid fortification mandate in debate”). While the Symposium paper highlighted the apparent legal and procedural deficiencies in the approval process of FSANZ Proposal P295, the main question the paper sought to address is: who would be legally accountable if mandatory folic acid fortification caused more health issues than it prevented?

**Unrelated to this article: crystal structures**
[1]
Theoretical X-ray powder pattern
Compound: GdBN2
Radiation: Cu Kα (λ = 1.5418 Å)
Structure: a structure optimized by DFT (GGA-PBE)
Kinematic intensities with the Lorentz-polarization factor, no thermal factor.

Crystal structure
abc: 7.211 7.211 7.211
angles: 110.94 110.94 110.94
Fractional positions:
Gd1 0.000 0.454 0.546
Gd2 0.046 0.954 0.500
Gd3 0.454 0.546 0.000
Gd4 0.500 0.046 0.954
Gd5 0.546 0.000 0.454
Gd6 0.954 0.500 0.046
B1 0.002 0.123 0.880
B2 0.123 0.880 0.002
B3 0.380 0.623 0.502
B4 0.502 0.380 0.623
B5 0.623 0.502 0.380
B6 0.880 0.002 0.123
N1 0.001 0.245 0.755
N2 0.002 0.877 0.127
N3 0.127 0.002 0.877
N4 0.245 0.755 0.001
N5 0.255 0.745 0.501
N6 0.377 0.502 0.627
N7 0.501 0.255 0.745
N8 0.502 0.627 0.377
N9 0.627 0.377 0.502
N10 0.745 0.501 0.255
N11 0.755 0.001 0.245
N12 0.877 0.127 0.002

The 10 most intense peaks (5° ≤ 2θ ≤ 70°), most intense first:
| Position (°2θ) | intensity |
| --- | --- |
| 32.0 | 1000 |
| 34.2 | 824 |
| 14.9 | 715 |
| 30.1 | 533 |
| 51.3 | 403 |
| 26.5 | 324 |
| 58.4 | 267 |
| 65.0 | 222 |
| 62.8 | 207 |
| 41.7 | 204 |

=====

[2]
Theoretical X-ray powder pattern
Compound: BaNb8P4
Radiation: Cu Kα (λ = 1.5418 Å)
Structure: a structure optimized by DFT (GGA-PBE)
Kinematic intensities with the Lorentz-polarization factor, no thermal factor.

Crystal structure
abc: 8.288 8.288 8.288
angles: 93.34 93.34 152.07
Fractional positions:
Ba1 0.000 0.000 0.000
Nb1 0.032 0.635 0.667
Nb2 0.219 0.328 0.548
Nb3 0.328 0.781 0.109
Nb4 0.365 0.032 0.398
Nb5 0.635 0.968 0.602
Nb6 0.672 0.219 0.891
Nb7 0.781 0.672 0.452
Nb8 0.968 0.365 0.333
P1 0.253 0.566 0.818
P2 0.434 0.253 0.687
P3 0.566 0.747 0.313
P4 0.747 0.434 0.182

The 10 most intense peaks (5° ≤ 2θ ≤ 70°), most intense first:
| Position (°2θ) | intensity |
| --- | --- |
| 39.7 | 1000 |
| 32.5 | 840 |
| 24.8 | 519 |
| 46.6 | 515 |
| 11.0 | 493 |
| 36.3 | 406 |
| 45.9 | 380 |
| 67.0 | 338 |
| 45.4 | 319 |
| 28.4 | 174 |

=====

[3]
Theoretical X-ray powder pattern
Compound: CsAs5Ir3
Radiation: Cu Kα (λ = 1.5418 Å)
Structure: a structure optimized by DFT (GGA-PBE)
Kinematic intensities with the Lorentz-polarization factor, no thermal factor.

Crystal structure
abc: 5.631 5.631 8.140
angles: 90.00 90.00 120.00
Fractional positions:
Cs1 0.000 0.000 0.000
As1 0.000 0.000 0.500
As2 0.333 0.667 0.264
As3 0.333 0.667 0.736
As4 0.667 0.333 0.264
As5 0.667 0.333 0.736
Ir1 0.000 0.500 0.500
Ir2 0.500 0.000 0.500
Ir3 0.500 0.500 0.500

The 10 most intense peaks (5° ≤ 2θ ≤ 70°), most intense first:
| Position (°2θ) | intensity |
| --- | --- |
| 10.9 | 1000 |
| 43.3 | 630 |
| 21.2 | 301 |
| 38.5 | 256 |
| 36.9 | 220 |
| 21.8 | 157 |
| 50.3 | 148 |
| 44.5 | 128 |
| 66.4 | 123 |
| 59.1 | 117 |

=====

[4]
Theoretical X-ray powder pattern
Compound: TcTe2
Radiation: Cu Kα (λ = 1.5418 Å)
Structure: a structure optimized by DFT (GGA-PBE)
Kinematic intensities with the Lorentz-polarization factor, no thermal factor.

Crystal structure
abc: 6.746 6.633 6.825

On Page 37 of the First Review Report for Proposal P295, FSANZ stated:

Papers published since Final Assessment (see Attachment 5) on the potential risk or protective effect of increased total folate (dietary folate and supplemental folic acid) on colorectal cancer, prostate cancer, stomach cancer and breast cancer does not change FSANZ’s conclusion at Final Assessment. Current peer-reviewed evidence, in totality, does not suggest an increase in risk of colorectal, prostate, stomach or breast cancer from the increase in folic acid intakes likely from mandatory fortification.

Since the 13 September 2007 amendment to the Food Standards Code, several peer-reviewed studies linking increased folic acid intake with adverse health effects have been published.

The release of new studies

In February 2009, a study was published in the American Journal of Clinical Nutrition revealing that a number of children with Inflammatory Bowel Disease (IBD) had high levels of folate. This brought into question the theory that children suffering from IBD were often folate deficient.

In March 2009, it was reported that a study at the University of Southern California found that men who increased their daily intake of folic acid by 1mg significantly increased their risk of developing prostate cancer. It was noted in the study that this increase in folic acid was higher than normally present in commonly consumed multivitamin supplements and that consumers “must not lose sight of the safe, well-established benefits of folic acid supplementation/fortification for women of childbearing age to prevent neural tube defects”.

A report on monitoring of incidence of colon cancer in Chile both before and after mandatory folic acid fortification of flour published in 2009 has provided new evidence that a folate fortification program could be associated with an additional risk of colon cancer.

Changes of regulatory policy in other countries

Several countries have already implemented mandatory folic acid fortification programs or are in the process of introducing one. However, the recent scientific studies have prompted a number of jurisdictions to reconsider:

Ireland: While voluntary fortification programs have reduced incidence of birth defects, a government implementation report has found that mandatory fortification would “not provide much additional protection”. Subsequently, the introduction of mandatory fortification has been put into abeyance by the Food Safety Authority of Ireland until further research on links between folate levels and cancer is available.

**Here the piece breaks off for data records**
********
MgTeMoO6: theoretical powder diffractogram (Cu Kα X-rays), based on a DFT-relaxed cell (GGA+U, Alexandria).
Neutral-atom scattering factors, no anomalous dispersion.

Top 10 peaks for 2θ = 15–90°, by angle:
(hkl)	2θ/deg	I/Imax
0 0 2	19.1	55
1 1 0	24.1	80
1 0 2	26.0	31
1 1 2	30.9	100
0 2 0	33.4	17
0 2 2	38.8	22
2 2 0	49.4	28
2 2 2	53.4	21
1 3 2	58.2	19
3 1 2	60.6	16

Structure:
```
data_MgTeMoO6
_chemical_formula_sum 'Mg2 Te2 Mo2 O12'
_cell_length_a 5.0909
_cell_length_b 5.3641
_cell_length_c 9.2925
_cell_angle_alpha 90.00
_cell_angle_beta 90.00
_cell_angle_gamma 90.00
_space_group_name_H-M_alt 'P 21 21 2'
_space_group_IT_number 18
loop_
_space_group_symop_operation_xyz
'x,y,z'
'-x,-y,z'
'x+1/2,-y+1/2,-z'
'-x+1/2,y+1/2,-z'
loop_
_atom_site_label
_atom_site_type_symbol
_atom_site_fract_x
_atom_site_fract_y
_atom_site_fract_z
Mg1 Mg 0.0000 0.0000 0.0327
Te1 Te 0.0000 0.5000 0.2356
Mo1 Mo 0.0000 0.5000 0.6976
O1 O 0.1521 0.2849 0.5856
O2 O 0.2213 0.6695 0.1006
O3 O 0.2329 0.1739 0.2021
```


[1]
Computed XRD peak list
Compound: Sr3Tb3CdSe8
Radiation: Cu Ka
Structure: a crystal structure in Alexandria, relaxed with PBE

Crystal structure
```
data_Sr3Tb3CdSe8
_chemical_formula_sum 'Sr9 Tb9 Cd3 Se24'
_cell_length_a 8.3796
_cell_length_b 8.3796
_cell_length_c 21.3100
_cell_angle_alpha 90.00
_cell_angle_beta 90.00
_cell_angle_gamma 120.00
_symmetry_space_group_name_H-M 'R -3 m'
_symmetry_Int_Tables_number 166
_symmetry_space_group_name_Hall '-R 3 2"'
loop_
_atom_site_label
_atom_site_type_symbol
_atom_site_fract_x
_atom_site_fract_y
_atom_site_fract_z
Sr1 Sr 0.0000 0.5000 0.0000
Tb1 Tb 0.0000 0.5000 0.5000
Cd1 Cd 0.0000 0.0000 0.5000
Se1 Se 0.0000 0.0000 0.2437
Se2 Se 0.0030 0.5015 0.7576
```

Top 10 peaks for 15° ≤ 2θ ≤ 90°, sorted by position:
index, Position (°2θ), I_rel
0 2 4, 29.79, 100
2 0 8, 42.08, 37
2 2 0, 43.18, 36
0 0 12, 51.46, 6
4 0 4, 53.35, 19
0 4 8, 61.88, 12
2 2 12, 69.38, 15
2 4 4, 70.97, 16
0 2 16, 76.13, 7
4 2 8, 78.43, 12

---

[2]
Computed XRD peak list
Compound: Pm2Ge2Rh3
Radiation: Cu Ka
Structure: a crystal structure in Alexandria, relaxed with PBE

Crystal structure
```
data_Pm2Ge2Rh3
_chemical_formula_sum 'Pm4 Ge4 Rh6'
_cell_length_a 10.7802
_cell_length_b 3.8175
_cell_length_c 7.1470
_cell_angle_alpha 90.00
_cell_angle_beta 113.91
_cell_angle_gamma 90.00
_symmetry_space_group_name_H-M 'C 1 2/m 1'
_symmetry_Int_Tables_number 12
loop_
_symmetry_equiv_pos_as_xyz
'x,y,z'
'-x,-y,-z'
'-x,y,-z'
'x,-y,z'
'x+1/2,y+1/2,z'
'-x+1/2,-y+1/2,-z'
'-x+1/2,y+1/2,-z'
'x+1/2,-y+1/2,z'
loop_
_atom_site_label
_atom_site_type_symbol
_atom_site_fract_x
_atom_site_fract_y
_atom_site_fract_z
Pm1 Pm 0.1230 0.0000 0.2662
Ge1 Ge 0.1548 0.0000 0.7297
Rh1 Rh 0.0000 0.5000 0.5000
Rh2 Rh 0.1269 0.5000 0.9382
```

Top 10 peaks for 15° ≤ 2θ ≤ 90°, sorted by position:
index, Position (°2θ), I_rel
1 1 1, 30.30, 13
3 1 -1, 34.40, 100
4 0 -2, 35.66, 11
3 1 0, 36.07, 18
4 0 0, 36.47, 25
2 0 -3, 37.79, 20
3 1 -2, 38.12, 29
1 1 2, 40.10, 53
0 2 0, 47.64, 26
********

New Zealand: The New Zealand government is taking further advice and reviewing the decision to introduce a mandatory fortification scheme. A market research survey found 87% of people in New Zealand did not want mandatory fortification to take place.

United Kingdom: In 2007, the UK Food Standards Agency recommended introducing a mandatory fortification scheme. However, this introduction has been delayed due to a request by the Chief Medical Officer to review the emerging science in relation to colorectal cancer. The UK final decision is due in July 2009.

Questions over enforceability of the mandatory folic acid standard in Australia

On a further note, FSANZ Proposal P295 for mandatory fortification attempted to limit the daily intake of folic acid via the fortification scheme in order to prevent people exceeding the safe upper level of intake as set by the National Health and Medical Research Council.

FSANZ attempted a solution by setting a maximum level of fortification, but it appears this has placed an enormous burden on the flour millers. To accurately test the flour to ensure the folic acid levels are within the required range is an extremely costly process. The burden of the extra cost was recognised by FSANZ in its reports.

# 1
For Cs4InCl7, the GGA-PBE geometry in Alexandria gives the computed powder XRD pattern in this record (λ = 1.5418 Å (Cu Kα)).

Cell lengths 8.3799, 8.3799, 10.4822 Å; angles 114.21, 114.21, 49.98 degrees
Positions (direct):
Cs 0.1090 0.1090 0.2996
Cs 0.3420 0.3455 0.9918
Cs 0.6545 0.6580 0.0082
Cs 0.8910 0.8910 0.7004
In 0.4841 0.5159 0.5000
Cl 0.1216 0.1259 0.9868
Cl 0.1673 0.5400 0.3371
Cl 0.4224 0.4383 0.6890
Cl 0.4600 0.8327 0.6629
Cl 0.5617 0.5776 0.3110
Cl 0.8258 0.1742 0.5000
Cl 0.8741 0.8784 0.0132

Main lines, sorted by position (2θ from 5° to 70°):
- 2θ 19.4, I = 74
- 2θ 21.2, I = 78
- 2θ 21.6, I = 100
- 2θ 25.2, I = 76
- 2θ 28.9, I = 65
- 2θ 31.9, I = 70
- 2θ 35.5, I = 41
- 2θ 38.5, I = 32
- 2θ 38.6, I = 38
- 2θ 44.0, I = 38

# 2
For InGaF3, the GGA-PBE geometry in Alexandria gives the computed powder XRD pattern in this record (λ = 1.5418 Å (Cu Kα)).

Cell lengths 7.1483, 7.1483, 3.6517 Å; angles 90.00, 90.00, 105.62 degrees
Positions (direct):
In 0.1744 0.8256 0.7500
In 0.8256 0.1744 0.2500
Ga 0.3869 0.3869 0.5000
Ga 0.6131 0.6131 0.0000
F 0.1452 0.3414 0.7185
F 0.3399 0.6601 0.2500
F 0.3414 0.1452 0.2815
F 0.6586 0.8548 0.7815
F 0.6601 0.3399 0.7500
F 0.8548 0.6586 0.2185

Main lines, sorted by position (2θ from 5° to 70°):
- 2θ 20.6, I = 43
- 2θ 25.6, I = 100
- 2θ 25.9, I = 27
- 2θ 27.7, I = 74
- 2θ 32.1, I = 28
- 2θ 35.9, I = 100
- 2θ 40.2, I = 29
- 2θ 40.7, I = 29
- 2θ 45.5, I = 29
- 2θ 52.7, I = 28

# 3
For SrLi2NdSn2, the GGA-PBE geometry in Alexandria gives the computed powder XRD pattern in this record (λ = 1.5418 Å (Cu Kα)).

Cell lengths 4.8987, 4.8987, 7.8984 Å; angles 90.00, 90.00, 120.00 degrees
Positions (direct):
Sr 0.0000 0.0000 0.0000
Li 0.3333 0.6667 0.7054
Li 0.6667 0.3333 0.2946
Nd 0.0000 0.0000 0.5000
Sn 0.3333 0.6667 0.2840
Sn 0.6667 0.3333 0.7160

Main lines, sorted by position (2θ from 5° to 70°):
- 2θ 11.2, I = 17
- 2θ 20.9, I = 12
- 2θ 23.8, I = 59
- 2θ 30.9, I = 100
- 2θ 36.7, I = 59
- 2θ 40.3, I = 17
- 2θ 44.2, I = 12
- 2θ 48.7, I = 28
- 2θ 60.2, I = 19
- 2θ 62.5, I = 27

# 4
For Tm3Zr4, the GGA-PBE geometry in Alexandria gives the computed powder XRD pattern in this record (λ = 1.5418 Å (Cu Kα)).

Cell lengths 8.9037, 8.9037, 5.2783 Å; angles 90.00, 90.00, 120.00 degrees
Positions (direct):
Tm 0.0541 0.8020 0.2500
Tm 0.1980 0.2521 0.2500
Tm 0.2521 0.0541 0.7500
Tm 0.7479 0.9459 0.2500
Tm 0.8020 0.7479 0.7500
Tm 0.9459 0.1980 0.7500
Zr 0.1042 0.6110 0.7500
Zr 0.3333 0.6667 0.2500
Zr 0.3890 0.4932 0.7500
Zr 0.4932 0.1042 0.2500
Zr 0.5068 0.8958 0.7500
Zr 0.6110 0.5068 0.2500
Zr 0.6667 0.3333 0.7500
Zr 0.8958 0.3890 0.2500

Main lines, sorted by position (2θ from 5° to 70°):
- 2θ 11.5, I = 6
- 2θ 26.2, I = 7
- 2θ 30.7, I = 24
- 2θ 34.0, I = 25
- 2θ 35.2, I = 100
- 2θ 46.4, I = 15
- 2θ 54.5, I = 18
- 2θ 61.6, I = 19
- 2θ 65.8, I = 20
- 2θ 66.6, I = 14

# 5
For Fe3PdBr9, the GGA-PBE geometry in Alexandria gives the computed powder XRD pattern in this record (λ = 1.5418 Å (Cu Kα)).

The Food Standards Code is not enforced by FSANZ, which has no enforcement powers itself. The legal enforcement of the new standard is therefore the responsibility of Environmental Health Officers (i.e. food inspectors) of local municipal governments where the flour mills are located. At the Implementation Sub-Committee Stakeholder Forum held in Melbourne on 19 June 2009, it was mentioned that the accurate enforceability of this standard was very difficult. It should be noted that this concern had been brought to the attention of FSANZ during the consultation process on Proposal P295.

In response to being told by the industry and State Health enforcement officers that the new food standard for mandatory fortification could not be properly enforced, FSANZ simply stated on Page 52 of the First Review Report:

FSANZ considers that this is unlikely to occur based on discussions with enforcement agencies who have clarified that they do not intend to implement overly burdensome enforcement strategies.

Therefore FSANZ, a body with no say in law enforcement, has created a standard which it claims will not be implemented in an “overly burdensome” way even though this standard was created to protect consumers from over-exposure to a potentially dangerous substance.

The mandatory folic acid standard is an illustration of how the separation of our standard-setting agency from the enforcement process for those standards creates a situation of the law potentially creating serious health risk s without proper safeguards. The question of implementation and monitoring will, by necessity, become discretionary and subjectively enforceable.


Declaration of Interest: FoodLegal has previously advised clients who are flour millers and bakeries. However, neither Joe Lederman nor FoodLegal has been briefed by, nor been retained by, any flour miller or bakery group or association in connection with Joe Lederman raising these issues in the public domain. Joe Lederman has raised these issues in the context of his own independent examination of the issues of compensation for consumers from governments when scientific consensus changes in relation to a food standard. The mandatory folic acid fortification standard was used as a case study because of Joe Lederman's deep knowledge of the administrative processes and his analysis of all the Reports provided on this issue by FSANZ.

This is general information rather than legal advice and is current as of 30 Oct 2021. We therefore recommend you seek legal advice for your particular circumstances if you want to rely on advice or information to be a basis for any commercial decision-making by you or your business.